Entity Management

Entity Management


How would you manage various devices, several users and multiple companies? An entity in IoTConnect enables you to do that. The entity is a group of components – devices, users or companies – that you want to monitor and analyze together.

Parent-Child is one of the most common logical relationships between entities. A parent-child relationship is typically a one-to-many relationship in which:
  • The parent can have many children and
  • Each child must belong to a parent

This user manual describes how you can create, edit and delete an entity in your IoTConnect platform. It also details the importance of a parent-child hierarchy in an entity, entity list and entity ownership.

Examples of entities with parent-child relationships

Your organization may wish to establish parent-child relationships between its entities. Consider the following hierarchy for a chain of IoTConnect AWS offices:

  • IoTConnect AWS Global
    • IoTConnect AWS Americas
      • IoTConnect AWS USA
        • IoTConnect AWS USA Employees
        • IoTConnect AWS USA Customers
          • IoTConnect AWS USA Customers – Subscribed to more than a million messages per month
          • IoTConnect AWS USA Customers – Subscribed to less than a million but more than 30k messages per month
      • IoTConnect AWS Canada
    • IoTConnect AWS APAC
    • IoTConnect AWS EMEA

Each of the bulleted entries above is an entity. A company can decide whether the parent entities (here, IoTConnect AWS Global and IoTConnect AWS USA Customers have child entities.

When combined with thoughtful entity planning, this parent-child approach provides benefits such as easy permissions management and increased flexibility for faster data analysis.

Note: The number of entities at any level is not bound by any number, allowing users to create as many entities as they need.

Create an entity

An organization must have at least one entity, but most have several.

To create an entity for your organization:
  1. From the left navigation, select the Entity tab. The page will show you the parent entity you have created while creating a company.
  2. In the middle and toward the top, select Create Entity.
  3. Enter data in the following fields:

(Screen: Create Entity)

    • Entity Name: Enter a unique name for the entity.
    • Parent Entity: Select the parent entity if you are creating entities with parent-child relationships. With this, this entity becomes a child of another entity. If you have not yet created the parent entity, you can leave this field blank for the time being and select it later after you make it.
    • Enter your address, city, state and country.
    • Description: Enter a description for the entity.
  1. Create Owner: Select this field if you want to create an owner for the entity you create. Selecting it will give you more options to enter the owner’s details.

(Screen: Create Owner)

    • Enter the owner’s name and email.
    • Role: Select the role you need to give to the entity owner.
    • Time zone: Select the time zone you require for the entity owner.
  1. Select Save to add an entity.

Required fields have a red asterisk on the upper-right side of every field name.

The entity list will reflect your entity.

Entity List

You can view the users and devices associated with an entity on the Entity page.

To view the entity list:
  1. From the left navigation, select the Entity tab.
  2. To view all the child entities of a parent entity, select the + icon from the left of a parent entity.

(Screen: Entity List)

  • Scroll down to view the entity list. The page includes the users and device counts associated with an entity, as shown below:

(Screen: Entity List with Child Entities)

Locate an entity in the list and click its name to edit an entity.

Edit an entity

To edit an entity:
  1. A click on the entity name from the entity list will show you the fields on the right side to edit.
  2. You can edit entity name, parent entity, address, city, state, country and description.

(Screen: Edit Entity)

  1. You can remove the owner or change owner as well. Tick the Change Owner checkbox. It will allow you to select the user and change the entity owner.

(Screen: Change Owner)

  1. Select Save to save edit entity changes.

Delete an entity

(1)
## NaRuO2 (PBE-GGA)

Data for a relaxed NaRuO2 crystal.

Results
- spin magnetization (μB per cell) = 1.00
- crystal system = trigonal
- DFT formation energy (eV per formula unit) = -5.67

a = 3.1171 Å, b = 3.1171 Å, c = 5.6275 Å
α = 73.92°, β = 73.92°, γ = 60.00°
Sites, in units of the cell vectors:
Ru: 0.5000 0.5000 0.5000
O: 0.7646 0.7646 0.7062
O: 0.2354 0.2354 0.2938
Na: 0.0000 0.0000 0.0000

---

(2)
## NaRu4O8 (PBE-GGA)

Data for a relaxed NaRu4O8 crystal.

Results
- spin magnetization (μB per cell) = 0.00
- crystal system = tetragonal
- DFT formation energy (eV per formula unit) = -18.65

a = 7.0962 Å, b = 7.0962 Å, c = 7.0962 Å
α = 92.86°, β = 92.86°, γ = 154.17°
Sites, in units of the cell vectors:
O: 0.3585 0.3080 0.6665
O: 0.6415 0.6920 0.3335
O: 0.3080 0.6415 0.9495
O: 0.6920 0.3585 0.0505
O: 0.3407 0.0487 0.3894
O: 0.9513 0.3407 0.2919
O: 0.0487 0.6593 0.7081
O: 0.6593 0.9513 0.6106
Ru: 0.8500 0.6715 0.5216
Ru: 0.3285 0.8500 0.1785
Ru: 0.6715 0.1500 0.8215
Ru: 0.1500 0.3285 0.4784
Na: 0.0000 0.0000 0.0000

---

(3)
## Na2RuO7 (PBE-GGA)

Data for a relaxed Na2RuO7 crystal.

Results
- spin magnetization (μB per cell) = 8.97
- crystal system = triclinic
- DFT formation energy (eV per formula unit) = -7.84

a = 6.0407 Å, b = 7.0890 Å, c = 8.9501 Å
α = 82.06°, β = 99.33°, γ = 98.68°
Sites, in units of the cell vectors:
O: 0.8359 0.0625 0.6048
O: 0.6480 0.4248 0.6677
O: 0.5342 0.6732 0.3812
O: 0.9721 0.7332 0.8313
O: 0.7881 0.7599 0.1253
O: 0.0263 0.2649 0.1668
O: 0.1272 0.8090 0.5076
O: 0.3469 0.5792 0.3349
O: 0.1606 0.9408 0.3967
O: 0.5338 0.2410 0.1626
O: 0.2138 0.2410 0.8745
O: 0.4660 0.7599 0.8370
O: 0.8772 0.1900 0.4922
O: 0.4684 0.3224 0.6186
Na: 0.7537 0.9961 0.2702
Na: 0.8223 0.4644 0.2703
Na: 0.1798 0.5351 0.7295
Na: 0.2463 0.0039 0.7290
Ru: 0.2518 0.2451 0.0753
Ru: 0.7475 0.7533 0.9246

---

(4)
## NaRu2O4 (PBE-GGA)

Data for a relaxed NaRu2O4 crystal.

Results
- crystal system = orthorhombic
- DFT formation energy (eV per formula unit) = -10.35

a = 2.8134 Å, b = 9.5307 Å, c = 11.2788 Å
α = 90.00°, β = 90.00°, γ = 90.00°
Sites, in units of the cell vectors:
O: 0.7500 0.7091 0.6600
O: 0.2500 0.4722 0.7776
O: 0.7500 0.2091 0.8400
O: 0.2500 0.8903 0.4722
O: 0.2500 0.0857 0.0631
O: 0.2500 0.5857 0.4369
O: 0.2500 0.3903 0.0278
O: 0.2500 0.7909 0.1600
O: 0.2500 0.9722 0.7224
O: 0.7500 0.9143 0.9369
O: 0.7500 0.6097 0.9722
O: 0.7500 0.0278 0.2776
O: 0.2500 0.2909 0.3400
O: 0.7500 0.4143 0.5631
O: 0.7500 0.5278 0.2224
O: 0.7500 0.1097 0.5278
Na: 0.7500 0.2592 0.1558
Na: 0.2500 0.2408 0.6558
Na: 0.2500 0.7408 0.8442
Na: 0.7500 0.7592 0.3442
Ru: 0.2500 0.5605 0.6167
Ru: 0.2500 0.0605 0.8833
Ru: 0.7500 0.4146 0.8948
Ru: 0.7500 0.4395 0.3833
Ru: 0.7500 0.9146 0.6052
Ru: 0.2500 0.0854 0.3948
Ru: 0.2500 0.5854 0.1052
Ru: 0.7500 0.9395 0.1167

---

(5)
## NaRuO2 (PBE-GGA)

Data for a relaxed NaRuO2 crystal.

Results
- spin magnetization (μB per cell) = 2.00
- crystal system = triclinic
**So much for the calculated crystals:**

To delete an entity:
  1. Select the Trash icon from the edit entity page to delete an entity.
  2. It will present the dialogue box titled ‘Delete’.

(Screen: Delete Entity)

  1. Click Ok to delete an entity.